Could you find the line further down that holds "-9.72", then restate that line and all lines after it there?

<<<
NbPPd (PBE, relaxed); mass density = 7225 kg/m³; SG = Fddd; M_tot = 0.00 μB/f.u.; calculated formation energy = -0.458 eV/atom
1.0
-1.509 1.756 5.463
0.818 -5.566 1.886
6.108 3.155 -2.485
P Nb Pd
4 4 4
Direct
0.790 0.210 0.000
0.210 0.790 0.000
0.040 0.960 0.500
0.460 0.540 0.500
0.141 0.141 0.282
0.859 0.859 0.718
0.109 0.609 0.218
0.391 0.891 0.782
0.625 0.375 0.750
0.625 0.875 0.250
0.125 0.375 0.750
0.625 0.375 0.250

~~~~~

Density functional theory data (PBE) for a geometry-optimized BaYFe3 structure.

POSCAR file:
```
BaYFe3
1.0
5.0162 0.0000 0.0000
0.0000 5.0162 0.0000
0.0000 0.0000 5.0162
Ba Y Fe
1 1 3
Direct
0.0000 0.0000 0.0000 Ba
0.5000 0.5000 0.5000 Y
0.0000 0.0000 0.5000 Fe
0.0000 0.5000 0.0000 Fe
0.5000 0.0000 0.0000 Fe
```

Results
distance to the lowest polymorph of the same formula = 570 meV per atom
N(E_F) = 12.7 states/eV/f.u.

***

Density functional theory data (PBE) for a geometry-optimized BaY2Fe structure.

POSCAR file:
```
BaY2Fe
1.0
-1.7331 2.3454 7.9232
1.7331 -2.3454 7.9232
1.7331 2.3454 -7.9232
Ba Y Fe
1 2 1
Direct
0.0000 0.0000 0.0000 Ba
0.3213 0.3213 0.0000 Y
0.6763 0.1763 0.5000 Y
0.1865 0.6865 0.5000 Fe
```

Results
distance to the lowest polymorph of the same formula = 187 meV per atom
N(E_F) = 5.9 states/eV/f.u.

~~~~~

1.
Below is an optimized crystal structure of Zr2CdBr, with properties calculated at the PBE-GGA level.

a = 3.2490 Å, b = 3.2490 Å, c = 7.9689 Å
α = 90.00°, β = 90.00°, γ = 90.00°
With the nearest neighbours (Å) after each atom.
Fractional positions:
1 Zr 0.0000 0.0000 0.0146  4 Br 2.97, 4 Cd 3.12, 4 Zr 3.25
2 Zr 0.0000 0.0000 0.4854  4 Br 2.97, 4 Cd 3.12, 4 Zr 3.25
3 Br 0.5000 0.5000 0.2500  8 Zr 2.97, 4 Br 3.25
4 Cd 0.5000 0.5000 0.7500  8 Zr 3.12, 4 Cd 3.25

Values from the calculation:
raw formation energy	-0.165	eV per atom
electronic total energy	-20.35	eV for the cell shown
relative energy among the computed polymorphs	191	meV/atom

2.
Below is an optimized crystal structure of TaZnCd2Hg, with properties calculated at the PBE-GGA level.

a = 5.6159 Å, b = 5.4902 Å, c = 5.6159 Å
α = 90.00°, β = 90.00°, γ = 90.00°
With the nearest neighbours (Å) after each atom.
Fractional positions:
1 Hg 0.0000 0.5000 0.0000  2 Ta 2.75
2 Ta 0.0000 0.0000 0.0000  2 Hg 2.75, 4 Cd 2.81
3 Cd 0.0000 0.0000 0.5000  2 Ta 2.81
4 Cd 0.5000 0.0000 0.0000  2 Ta 2.81
5 Zn 0.5000 0.5000 0.5000  8 Cd 3.93, 4 Hg 3.97

Values from the calculation:
energy of formation	5.54	eV/f.u.
electronic total energy	-9.72	eV for the cell shown

3.
Below is an optimized crystal structure of PrHo2TlHg4, with properties calculated at the PBE-GGA level.

a = 5.1730 Å, b = 5.1730 Å, c = 9.5957 Å
α = 74.36°, β = 74.36°, γ = 60.00°
With the nearest neighbours (Å) after each atom.
Fractional positions:
1 Tl 0.5000 0.5000 0.5000  8 Hg 3.24-3.38, 6 Ho 3.59
2 Ho 0.2398 0.2398 0.2806  7 Hg 3.08-3.29
3 Ho 0.7602 0.7602 0.7194  7 Hg 3.08-3.29
4 Hg 0.1207 0.1207 0.6380  4 Ho 3.08-3.26, 3 Tl 3.24, 1 Pr 3.30
5 Hg 0.6235 0.6235 0.1296  3 Pr 3.21, 3 Ho 3.29, 1 Tl 3.38
6 Hg 0.8793 0.8793 0.3620  4 Ho 3.08-3.26, 3 Tl 3.24, 1 Pr 3.30
7 Hg 0.3765 0.3765 0.8704  3 Pr 3.21, 3 Ho 3.29, 1 Tl 3.38
8 Pr 0.0000 0.0000 0.0000  8 Hg 3.21-3.30

Values from the calculation:
energy of formation	-2.90	eV/f.u.
electronic total energy	-20.41	eV for the cell shown

4.
Below is an optimized crystal structure of TmTh2Co, with properties calculated at the PBE-GGA level.

a = 3.7140 Å, b = 3.7140 Å, c = 10.2624 Å
α = 79.57°, β = 79.57°, γ = 60.00°
With the nearest neighbours (Å) after each atom.
Fractional positions:
1 Co 0.5000 0.5000 0.5000  6 Th 2.69
2 Tm 0.0000 0.0000 0.0000  2 Th 3.39, 6 Tm 3.71
3 Th 0.1126 0.1126 0.6623  3 Co 2.69
4 Th 0.8874 0.8874 0.3377  3 Co 2.69

Values from the calculation:
energy of formation	0.59	eV/f.u.
electronic total energy	-25.82	eV for the cell shown
relative energy among the computed polymorphs	332	meV/atom

5.
Below is an optimized crystal structure of CeTiZnCd, with properties calculated at the PBE-GGA level.
>>>

electronic total energy	-9.72	eV for the cell shown

3.
Below is an optimized crystal structure of PrHo2TlHg4, with properties calculated at the PBE-GGA level.

a = 5.1730 Å, b = 5.1730 Å, c = 9.5957 Å
α = 74.36°, β = 74.36°, γ = 60.00°
With the nearest neighbours (Å) after each atom.
Fractional positions:
1 Tl 0.5000 0.5000 0.5000  8 Hg 3.24-3.38, 6 Ho 3.59
2 Ho 0.2398 0.2398 0.2806  7 Hg 3.08-3.29
3 Ho 0.7602 0.7602 0.7194  7 Hg 3.08-3.29
4 Hg 0.1207 0.1207 0.6380  4 Ho 3.08-3.26, 3 Tl 3.24, 1 Pr 3.30
5 Hg 0.6235 0.6235 0.1296  3 Pr 3.21, 3 Ho 3.29, 1 Tl 3.38
6 Hg 0.8793 0.8793 0.3620  4 Ho 3.08-3.26, 3 Tl 3.24, 1 Pr 3.30
7 Hg 0.3765 0.3765 0.8704  3 Pr 3.21, 3 Ho 3.29, 1 Tl 3.38
8 Pr 0.0000 0.0000 0.0000  8 Hg 3.21-3.30

Values from the calculation:
energy of formation	-2.90	eV/f.u.
electronic total energy	-20.41	eV for the cell shown

4.
Below is an optimized crystal structure of TmTh2Co, with properties calculated at the PBE-GGA level.

a = 3.7140 Å, b = 3.7140 Å, c = 10.2624 Å
α = 79.57°, β = 79.57°, γ = 60.00°
With the nearest neighbours (Å) after each atom.
Fractional positions:
1 Co 0.5000 0.5000 0.5000  6 Th 2.69
2 Tm 0.0000 0.0000 0.0000  2 Th 3.39, 6 Tm 3.71
3 Th 0.1126 0.1126 0.6623  3 Co 2.69
4 Th 0.8874 0.8874 0.3377  3 Co 2.69

Values from the calculation:
energy of formation	0.59	eV/f.u.
electronic total energy	-25.82	eV for the cell shown
relative energy among the computed polymorphs	332	meV/atom

5.
Below is an optimized crystal structure of CeTiZnCd, with properties calculated at the PBE-GGA level.